Edited January 1, 0001

Quick Comparions of NoSQL Databases

== Calculated crystals, kept here for reference ==
____________
This record from the Alexandria database describes a geometry-optimized V2TcPd2 structure. The functional is PBE.

The structure in extended XYZ format:
```
10
Lattice="3.5998 0.0000 0.0000 0.0000 3.5998 0.0000 0.0000 0.0000 11.9929" Properties=species:S:1:pos:R:3 pbc="T T T"
V 0.0000 0.0000 1.1089
V 0.0000 0.0000 10.8840
V 1.7999 1.7999 4.8875
V 1.7999 1.7999 7.1053
Tc 0.0000 0.0000 5.9964
Tc 1.7999 1.7999 0.0000
Pd 0.0000 1.7999 2.9982
Pd 0.0000 1.7999 8.9947
Pd 1.7999 0.0000 2.9982
Pd 1.7999 0.0000 8.9947
```

The total energy is -0.2754 Ha/atom.

=====

# 1
# YThOs PBE relaxed
# * crystal system: monoclinic
# * symmetry: P2_1/m
# * magnetic moment: 0.000 μB/f.u.
# * E_form: -168.4 meV per atom
# * excess energy over the best structure of this formula in the dataset: 0.113 eV/f.u.
# * calculated total energy: -0.3138 hartree per atom
# * V: 169.46 Å³/cell
data_YThOs
_chemical_formula_sum 'Y2 Th2 Os2'
_cell_length_a 4.481
_cell_length_b 5.886
_cell_length_c 6.737
_cell_angle_alpha 107.48
_cell_angle_beta 90.00
_cell_angle_gamma 90.00
_space_group_name_H-M_alt 'P 1'
_space_group_IT_number 1
_space_group_name_Hall 'P 1'
loop_
_atom_site_label
_atom_site_type_symbol
_atom_site_fract_x
_atom_site_fract_y
_atom_site_fract_z
Os1 Os 0.752 0.149 0.444
Os2 Os 0.252 0.858 0.559
Y1 Y 0.752 0.570 0.308
Y2 Y 0.252 0.437 0.696
Th1 Th 0.252 0.014 0.199
Th2 Th 0.752 0.994 0.804

=====

# 2
# FeSbPdPb2 PBE relaxed
# * ΔE_f (raw): 0.393 eV per atom
# * crystal system: tetragonal
# * symmetry: P4/mmm
# * magnetic moment: 1.160 μB/f.u.
# * calculated total energy: -0.1707 hartree per atom
# * V: 124.60 Å³/cell
data_FeSbPdPb2
_chemical_formula_sum 'Fe1 Sb1 Pd1 Pb2'
_cell_length_a 5.066
_cell_length_b 4.855
_cell_length_c 5.066
_cell_angle_alpha 90.00
_cell_angle_beta 90.00
_cell_angle_gamma 90.00
_space_group_name_H-M_alt 'P 1'
_space_group_IT_number 1
_space_group_name_Hall 'P 1'
loop_
_atom_site_label
_atom_site_type_symbol
_atom_site_fract_x
_atom_site_fract_y
_atom_site_fract_z
Sb1 Sb 0.000 0.500 0.000
Fe1 Fe 0.000 0.000 0.000
Pb1 Pb 0.500 0.000 0.000
Pb2 Pb 0.000 0.000 0.500
Pd1 Pd 0.500 0.500 0.500

=====

# 3
# K2RbMnBr6 PBE relaxed
# * ΔE_f (raw): -1.295 eV per atom
# * crystal system: monoclinic
# * symmetry: P2_1/c
# * magnetic moment: 4.000 μB/f.u.
# * calculated total energy: -0.1298 hartree per atom
# * V: 722.94 Å³/cell
data_K2RbMnBr6
_chemical_formula_sum 'K4 Rb2 Mn2 Br12'
_cell_length_a 7.724
_cell_length_b 8.519
_cell_length_c 11.010
_cell_angle_alpha 90.00
_cell_angle_beta 86.34
_cell_angle_gamma 90.00
_space_group_name_H-M_alt 'P 1'
_space_group_IT_number 1
_space_group_name_Hall 'P 1'
loop_
_atom_site_label
_atom_site_type_symbol
_atom_site_fract_x
_atom_site_fract_y
_atom_site_fract_z
Br1 Br 0.162 0.231 0.095
Br2 Br 0.338 0.731 0.405
Br3 Br 0.373 0.931 0.705
Br4 Br 0.262 0.658 0.036
Br5 Br 0.662 0.269 0.595
Br6 Br 0.627 0.069 0.295
Br7 Br 0.738 0.342 0.964
Br8 Br 0.762 0.842 0.536
Br9 Br 0.127 0.431 0.795
Br10 Br 0.873 0.569 0.205
____________
== End of the calculated crystals ==

Over the past decade, the interest and demand of NoSQL databases have increased dramatically.

Relational databases are known for robustness and consistency, and have been the major players in the DB market for a long time. However, when they handle large-scale data, they suffer from scalability and bad performance. NoSQL is complementary to SQL and it has various formats for storage that can support large volume of different types of data with high velocity.

There are hundreds of different NoSQL databases available today and it is difficult to find the right database for your task. We will compare several popular NoSQL databases.

alt NoSQL Database Types

NoSQL DBs are not an exception to CAP Theorem which states that a distribute data store is unable to provide all three of consistency, availability, and partition-tolerance at the same time.

alt CAP Theorem

Characteristics of NoSQL Databases

  • NoSQL databases, in general, can be categorized into key-value, document, and column stores, or graphs based on their storage model, and each offers different solutions.

  • Key-value store DBs are simplest and designed to store data with no schema Column Store DBs are designed to store large volumes of columns.

  • Document base DBs are more complex data and designed to store, manage and extract info in and from document.

  • Graph DBs are based on on graphs that have interconnected components and relations between them .

StorageColumnsNodes and edgesUnique Key with valueXML, JSON, BSON
ApplicationsSparse dataSocial connectionsIndexingProgramming objects storage
ExamplesBig Table, CassandraNeo4j, InfoGridDynamo, Oracle NoSQLMongoDB, CouchDB
FormatFlexible SchemaDynamic SchemaSchema-lessSchema-less
AdvantagesScalabilityHigh fault toleranceLess query response timeGeneralized storage for objects
ConsistencyConfigurable (several options)Configurable (several options)Eventual ConsistencyEventual ConsistencyConfigurable (strong and eventual consistency)Configurable (several options)Read-Repair (client handles conflicts)
DurabilityNotified written to desired nodesConfigurable (several options)Configurable (several options)Configurable (notified written to at least one disk)Configurable (several options)Configurable (several options)Notified written to desired nodes
QueryingInternal APIInternal API, SQL like (CQL)Internal API (MapReduce)Internal API (MapReduce)Internal APIInternal API, MapReduce, complex query supportInternal API (get, put, delete)
Concurrency ControlRead-committed isolation level (support for optimistic concurrency control)MVCCMVCC (application can select Optimistic or Pessimistic locking)MVCC (application can select Optimistic or Pessimistic locking)Optimistic locking with MVCCMaster-slave with multi-granularity lockingOptimistic locking with MVCC
Partitioning SchemeProprietary (Paxos based)Consistency HashingConsistency HashingConsistency Hashing (third party)Ranged BasedConsistency HashingConsistency Hashing
Native PartitioningYesYesYesNoYesYesYes

Software Quality Attributes

Quality AttributeDescription
AvailabilityPercent of Up-time
ConsistencyTransaction guarantee
DurabilityValidity of data in disk
MaintainabilityEasiness to operate, upgrade, repair, and debug
PerformanceOptimization for read and write
Recovery TimeTime to recover and stabilize from a failure
ReliabilityProbability of no failure
RobustnessAbility to handle errors
ScalabilityAbility to handle growing workloads

The research finds that each system has its strength and weakness and there is no one-size-fits-all solution. This table shows the evaluation of the popular NoSQL databases and their strengths and weaknesses.

Recovery Time++--+??++?
Stabilization Time--++??--?

(++: Great, +: Good, =: Average, -: Mediocre, --: Bad, ?: Unknown/N.A.)


  1. Bathla, G., Rani, R., & Aggarwal, H. (2018). Comparative study of NoSQL databases for big data storage. International Journal of Engineering & Technology, 7(2.6), 83. https://doi.org/10.14419/ijet.v7i2.6.10072
  2. Lourenço, J. R., Cabral, B., Carreiro, P., Vieira, M., & Bernardino, J. (2015). Choosing the right NoSQL database for the job: a quality attribute evaluation. Journal of Big Data, 2(1). https://doi.org/10.1186/s40537-015-0025-0